29 examples of undiscriminating in sentences

Here, then, we have a very fair specimen of the pseudo-philosophy which is so admirably adapted to captivate the half-informed, wholly unformed minds of the undiscriminating multitudes who have been taught little or nothing well except to believe in their right, duty, and ability to judge for themselves in matters for which a life-time of specialization were barely sufficient.

"The worst of it is the laws are so ridiculously undiscriminating.

# Here the text breaks off for molecular data
- - -
109
Properties=species:S:1:pos:R:3:lowdin_charge:R:1 method="wB97M-V/def2-TZVPD" max_force_ev_per_a=1.370 lumo_energy_ev="3.75 / 3.74" total_charge=-2 spin_multiplicity=2 homo_ha="-0.062 / -0.114" orbital_gap_ev="5.426 / 6.842" de_lowest_kj_mol=94.9
Pd -0.804 -0.063 0.544 0.225
C -3.391 -1.397 1.542 -0.036
C -3.233 -1.503 3.062 -0.645
C -3.254 -0.121 3.704 -0.028
C -4.359 -2.371 3.649 -0.031
O -2.028 -2.173 3.328 -0.136
Si -0.531 -1.726 3.773 -0.126
S 0.710 -0.691 2.440 0.348
O -0.708 -0.928 5.200 -0.151
C 0.283 -0.295 5.975 -0.659
C 1.608 -1.049 5.867 -0.056
C -0.216 -0.320 7.429 -0.035
C 0.468 1.148 5.486 -0.048
O 0.171 -3.142 4.207 -0.156
C 0.095 -4.429 3.644 -0.647
C 0.126 -4.373 2.118 -0.039
C 1.313 -5.205 4.162 -0.033
C -1.189 -5.117 4.126 -0.022
H -4.285 -0.834 1.277 0.086
H -3.451 -2.395 1.109 0.082
H -2.483 -0.879 1.135 0.002
H -4.247 0.320 3.634 0.089
H -2.531 0.518 3.199 0.053
H -2.959 -0.205 4.746 0.079
H -5.328 -1.919 3.449 0.077
H -4.230 -2.471 4.724 0.084
H -4.338 -3.364 3.206 0.078
H 1.415 -2.111 5.992 0.077
H 2.322 -0.703 6.612 0.080
H 2.026 -0.895 4.878 0.044
H -0.367 -1.348 7.750 0.080
H -1.167 0.202 7.512 0.076
H 0.509 0.156 8.087 0.075
H 0.587 1.121 4.404 0.018
H 1.353 1.596 5.935 0.081
H -0.403 1.754 5.730 0.076
H 0.991 -3.799 1.795 0.070
H -0.767 -3.874 1.754 0.074
H 0.181 -5.373 1.692 0.091
H 2.227 -4.696 3.868 0.083
H 1.322 -6.216 3.761 0.079
H 1.279 -5.258 5.248 0.076
H -2.038 -4.482 3.894 0.064
H -1.147 -5.262 5.204 0.081
H -1.303 -6.082 3.636 0.084
O 0.301 -9.844 -2.923 -0.383
S 0.096 -8.706 -3.815 0.401
O -1.225 -8.102 -3.713 -0.384
O 0.534 -8.933 -5.190 -0.386
C 1.269 -7.468 -3.153 -0.361
N 2.552 -7.805 -3.173 0.114
C 3.401 -6.932 -2.652 -0.132
C 3.004 -5.712 -2.135 0.000
C 1.628 -5.451 -2.150 -0.213
N 0.781 -6.356 -2.655 0.163
C 1.031 -4.229 -1.618 -0.143
C 1.776 -3.199 -1.033 -0.002
C 1.121 -2.102 -0.516 -0.199
N -0.201 -1.950 -0.564 -0.024
C -0.915 -2.906 -1.154 -0.119
C -0.357 -4.054 -1.676 0.013
H 4.446 -7.228 -2.645 0.102
H 3.728 -5.015 -1.736 0.093
H 2.854 -3.238 -0.968 0.102
H 1.677 -1.311 -0.019 0.050
H -1.980 -2.718 -1.223 0.111
H -0.963 -4.820 -2.135 0.115
C -1.674 3.120 2.688 -0.254
Ge -0.996 2.238 0.999 0.829
C -2.471 2.787 -0.247 -0.344
C -2.908 4.085 -0.462 -0.125
C -4.012 4.347 -1.253 -0.114
C -4.709 3.301 -1.833 -0.125
C -4.281 1.998 -1.642 -0.105
C -3.169 1.752 -0.858 -0.158
C 0.513 3.534 0.658 -0.243
C 1.279 3.853 1.755 -0.128
C 2.325 4.778 1.700 -0.093
C 2.649 5.382 0.514 -0.063
C 1.949 5.037 -0.660 -0.183
C 2.314 5.570 -1.912 -0.061
C 1.668 5.191 -3.054 -0.105
C 0.605 4.283 -2.987 -0.088
C 0.213 3.767 -1.785 -0.057
C 0.868 4.114 -0.587 -0.177
H -1.449 4.183 2.685 0.004
H -1.228 2.684 3.578 -0.022
H -2.750 2.992 2.748 0.001
H -2.374 4.904 0.001 0.100
H -4.336 5.369 -1.415 0.089
H -5.595 3.500 -2.423 0.086
H -4.818 1.177 -2.102 0.093
H -2.823 0.726 -0.716 0.047
H 1.056 3.361 2.692 0.086
H 2.870 5.024 2.604 0.095
H 3.451 6.111 0.459 0.099
H 3.147 6.261 -1.959 0.099
H 1.970 5.583 -4.016 0.091
- - -

Lord Dorset, the generous but sadly undiscriminating patron of letters, having become Lord Chamberlain, it was his duty to remove the reluctant Dryden from the two places,a duty not to be postponed, and scarcely to be mitigated, so violent was the public outcry against the renegade bard.

But careful enquirers, who would disdain to condemn Macaulay on passages selected by undiscriminating admirers from his Essays, or Carlyle for his frank admiration of Thor and Odin and the virtues of Valhalla, will ask for a more satisfying explanation.

Adj. indiscriminate; undistinguished^, indistinguishable, undistinguishable^; unmeasured; promiscuous, undiscriminating.

Mr. Oppenheim, however, is not an undiscriminating assailant of the Queen; for he remarks, as has been already said, that, 'how far Elizabeth was herself answerable is a moot point.'

These exercises in fiction were evidently composed currente calamo, with little thought and less revision, for an eager and undiscriminating public.

"He laughs," said Tom Davies, "like a rhinoceros," and he seems to have eaten like a wolfsavagely, silently, and with undiscriminating fury.

They have developed, in every Southern community, good citizens, who, if sustained and encouraged by just laws and liberal institutions, would greatly augment their number with the passing years, and soon wipe out the reproach of ignorance, unthrift, low morals and social inefficiency, thrown at them indiscriminately and therefore unjustly, and made the excuse for the equally undiscriminating contempt of their persons and their rights.

Doom'd by these undiscriminating times To endless sleep, with Delia Cruscan rhymes; Yes, Critics whisper thee, litigious wretches!

McBane was probably deserving of any evil fate which might befall him; but such a revenge would do no good, would right no wrong; while every such crime, committed by a colored man, would be imputed to the race, which was already staggering under a load of obloquy because, in the eyes of a prejudiced and undiscriminating public, it must answer as a whole for the offenses of each separate individual.

The half-grown boys were likewise almost as undiscriminating among themselves as the dogs with which they chased rabbits by day and 'possums by night.

### What comes next are molecular data, not part of the entry
____________
(1)
111
Properties=species:S:1:pos:R:3:forces:R:3 method="wB97M-V/def2-TZVPD" e_homo_ha="-0.0658 / -0.0653" spin_multiplicity=2 e_above_lowest_kj_mol=58.19 s_squared=0.76 homo_lumo_gap_ev="5.31 / 4.00" total_charge=-2
Hg -0.313 -0.611 -1.411 -0.616 -0.081 0.688
S 0.604 3.571 -2.519 0.032 -0.082 0.081
C -0.802 3.384 -1.537 0.217 -0.048 -0.278
C -1.288 4.469 -0.757 -0.193 -0.159 0.102
C -2.440 4.331 -0.019 0.080 0.003 -0.120
C -3.123 3.113 -0.032 -0.064 0.008 0.062
C -2.577 2.087 -0.778 0.048 0.177 -0.111
N -1.470 2.204 -1.517 -0.007 -0.183 0.304
H -0.725 5.392 -0.757 0.008 0.007 -0.049
H -2.815 5.165 0.566 0.022 -0.006 0.017
H -4.029 2.957 0.541 0.030 -0.022 -0.005
H -3.042 1.108 -0.773 0.001 0.014 0.005
C 5.060 -1.546 2.561 0.056 0.092 0.000
C 5.247 -1.621 1.039 -0.008 -0.048 -0.047
C 6.659 -2.150 0.737 -0.017 0.103 -0.078
C 4.221 -2.642 0.518 -0.056 0.012 0.034
Si 4.945 0.103 0.234 0.012 0.120 0.160
Br 2.819 0.629 0.741 -0.106 -0.059 -0.106
C 5.948 1.542 1.072 0.002 0.024 0.035
C 5.793 2.849 0.278 -0.047 -0.078 -0.010
C 5.427 1.849 2.486 -0.024 -0.063 -0.028
C 7.443 1.202 1.189 -0.073 -0.067 -0.060
C 5.077 0.139 -1.689 -0.057 0.019 -0.082
C 4.591 -1.177 -2.313 -0.038 0.009 0.047
C 4.182 1.251 -2.267 0.050 -0.006 0.042
C 6.527 0.363 -2.150 0.011 -0.027 0.142
H 5.089 -2.558 2.979 0.013 0.004 -0.044
H 4.091 -1.112 2.821 0.033 -0.023 0.036
H 5.849 -0.965 3.046 -0.017 -0.036 0.006
H 6.776 -3.151 1.167 -0.036 0.009 -0.019
H 7.437 -1.512 1.160 0.016 -0.060 -0.017
H 6.835 -2.227 -0.340 0.009 -0.052 0.041
H 4.259 -3.550 1.130 0.042 0.041 0.021
H 4.413 -2.942 -0.508 -0.030 -0.032 0.037
H 3.196 -2.273 0.565 0.018 -0.018 -0.032
H 4.739 3.105 0.151 0.040 0.045 -0.016
H 6.257 2.800 -0.707 -0.037 0.048 0.007
H 6.273 3.666 0.829 0.004 -0.033 0.016
H 4.399 2.208 2.457 0.023 0.015 0.026
H 6.050 2.634 2.933 0.001 -0.008 -0.030
H 5.457 0.982 3.143 -0.006 0.056 0.023
H 7.869 0.859 0.243 0.040 0.027 0.050
H 7.607 0.426 1.939 0.040 0.020 -0.023
H 8.000 2.092 1.508 -0.025 -0.002 -0.003
H 3.597 -1.457 -1.955 0.033 -0.036 -0.026
H 5.279 -2.001 -2.118 -0.042 -0.009 -0.006
H 4.527 -1.052 -3.401 0.026 0.042 0.026
H 3.126 1.038 -2.103 0.000 0.071 -0.018
H 4.340 1.317 -3.349 0.031 -0.032 0.024
H 4.385 2.232 -1.840 -0.042 -0.006 -0.050
H 7.213 -0.366 -1.708 0.014 0.008 -0.069
H 6.890 1.360 -1.900 0.036 -0.031 -0.022
H 6.584 0.257 -3.239 -0.033 -0.007 0.012
C -6.245 -2.780 -2.189 0.071 -0.048 0.091
C -4.750 -2.465 -2.224 -0.113 0.071 -0.025
C -4.092 -3.027 -3.479 0.032 0.001 0.063
C -4.543 -0.953 -2.175 0.081 -0.111 0.128
O -4.129 -3.131 -1.127 0.077 0.061 -0.124
Si -3.847 -2.707 0.440 0.188 -0.113 0.007
S -2.650 -1.059 0.813 0.409 0.246 -0.504
O -3.147 -4.013 1.143 -0.021 -0.054 -0.131
C -3.093 -5.399 0.826 -0.026 -0.242 -0.046
C -2.296 -5.630 -0.458 0.029 0.243 0.113
C -4.511 -5.957 0.681 0.002 0.190 0.046
C -2.372 -6.062 1.995 0.004 0.128 -0.002
O -5.386 -2.521 1.045 0.002 0.128 0.048
C -5.857 -1.901 2.238 -0.095 0.032 0.093
C -5.924 -0.387 2.042 0.041 -0.097 -0.076
____________
### End of the molecular data

Undiscriminating Philhellenism has been the worst enemy of Greece.

Hundreds of both sexes were slain in cold blood, and on more than one occasion English officers and seamen interfered to protect the weak and to arrest the progress of an undiscriminating and insensate massacre.

This remark applies generally to the evidence of this kind which Westermarck has so industriously collected, and which, on account of this undiscriminating, question-begging character, is entirely worthless.

They knew that angry cowboys were a trifle undiscriminating, and didn't care to risk hanging more than was necessary.

The only general history of the Loyalists is Egerton Ryerson, The Loyalists of America and Their Times (2 vols., 1880); it is diffuse and antiquated, and is written in a spirit of undiscriminating admiration of the Loyalists, but it contains much good material.

Come, let us teach each others tears to flow, Like fasting bards, in fellowship of woe, When the coy muse puts on coquettish airs, Nor deigns one line to their voracious prayers; Thy spirit, groaning like th'encumber'd block Which bears my works, deplores them as dead stock, Doom'd by these undiscriminating times To endless sleep, with Della Cruscan rhymes; Yes, Critics, whisper thee, litigious wretches!

Indiscriminate blame is as bad as undiscriminating praiseit only makes a man tired.

And, conversely, it is the cold, epigrammatic glitter of Congreve's dialogue, the fizz and crackle of the fireworks which Sheridan serves out with undiscriminating hand to the most insignificant of his charactersit is this which stamps the work of these dramatists with characteristics far more marked than any which belong to them in right of humorous portraiture of human foibles or ingenious invention of comic incident.

The common law contained likewise a closely related body of doctrine by which the railroads, as common carriers, ought to have given equitable and undiscriminating rates to all shippers.

No less a poet and critic than Daniel, regarding the work doubtless with the undiscriminating eye of friendship, asserted that it might even to Guarini himself have vindicated the poetic laurels of England, and yet from the whole long poem it is hardly possible to extract any passage which would do credit to the pen of an average schoolboy.

It would hardly have been necessary to emphasize this point of view, or to dwell upon objections which, when one surrenders to the magic of the verse, can hardly appear other than carping, were it not for the somewhat injudicious and undiscriminating praise which it has been the fashion of a certain school of critics to lavish upon the piece.

* 'SPELLING PRONUNCIATIONS' Many writers on English pronunciation are accustomed to pour undiscriminating censure on the growing practice of substituting for the traditional mode of pronouncing certain words an 'artificial' pronunciation which is an interpretation of the written form of the words in accordance with the general rules relating to the 'powers' of the letters.

Yet this fact or fancy made little impression on me at the moment, feeble and wretched as was my will, undiscriminating as were my faculties.

29 examples of  undiscriminating  in sentences